-- Request --
Could you repeat the part of the entries further down that starts with the line with "(eV): -4.53" and stops after the one with "-0.196"?

-- Source --
No. 1
Molecular formula: C22H58GaIN5O5S
Method: DFT, ωB97M-V/def2-TZVPD

Summary:
Total charge: -1
HOMO energy (eV): -4.53

Last column: Löwdin charge in e.
Positions of all 93 atoms, in Å:
N 0.311 -0.432 -0.712  -0.093
C -0.571 -1.377 -1.466  -0.352
Ga 0.159 -3.246 -1.818  0.412
C 1.224 -3.180 -3.547  -0.323
C 2.749 -3.066 -3.438  -0.353
C 3.507 -4.366 -3.094  -0.582
S 2.707 -5.956 -3.442  0.670
C 1.355 -3.576 -0.121  -0.260
C 1.391 -4.954 0.355  -0.859
O 0.530 -5.721 0.581  -0.036
I 3.468 -5.701 0.819  0.636
H 0.511 -0.817 0.207  0.039
H 1.207 -0.356 -1.187  0.050
H -0.789 -0.898 -2.434  0.033
H -1.524 -1.411 -0.922  0.030
H -1.045 -4.317 -1.882  -0.051
H 0.852 -2.258 -4.023  0.037
H 0.957 -4.002 -4.222  0.015
H 3.196 -2.647 -4.355  0.089
H 2.995 -2.355 -2.637  0.073
H 3.833 -4.358 -2.051  0.007
H 4.420 -4.453 -3.704  0.052
H 1.671 -5.795 -2.607  -0.160
H 2.350 -3.135 -0.201  0.017
H 0.780 -3.036 0.650  0.068
C -1.823 3.478 2.143  -0.076
C -0.766 2.715 1.346  -0.441
C 0.522 3.515 1.101  -0.205
O 0.419 4.510 0.100  -0.188
C -0.165 5.726 0.505  -0.125
N -1.368 2.199 0.123  0.046
H -2.333 4.207 1.512  0.050
H -2.576 2.781 2.511  0.071
H -1.389 4.003 2.997  0.072
H -0.462 1.848 1.943  0.133
H 1.288 2.824 0.743  0.120
H 0.879 3.966 2.039  0.114
H 0.150 6.013 1.515  0.087
H -1.254 5.673 0.462  0.048
H 0.169 6.492 -0.196  0.081
H -0.720 1.541 -0.316  0.034
H -1.507 2.974 -0.520  0.058
C -2.361 7.128 -2.636  -0.066
C -3.511 6.138 -2.485  -0.431
C -4.894 6.742 -2.745  -0.207
O -5.385 7.571 -1.707  -0.187
C -4.941 8.910 -1.731  -0.114
N -3.402 5.486 -1.182  0.050
H -2.297 7.791 -1.771  0.064
H -1.417 6.588 -2.701  0.076
H -2.474 7.741 -3.532  0.077
H -3.379 5.358 -3.243  0.139
H -5.616 5.927 -2.830  0.122
H -4.897 7.295 -3.695  0.118
H -4.832 9.271 -2.760  0.088
H -3.987 9.045 -1.215  0.074
H -5.697 9.511 -1.227  0.085
H -4.059 4.716 -1.111  0.082
H -3.689 6.148 -0.466  0.075
C -3.841 -3.251 2.780  -0.073
C -3.116 -4.234 1.866  -0.432
C -3.802 -5.597 1.749  -0.199
O -3.666 -6.439 2.884  -0.185
C -4.580 -6.206 3.928  -0.125
N -1.715 -4.326 2.266  0.060
H -3.666 -3.487 3.832  0.061
H -3.466 -2.243 2.606  0.074
H -4.919 -3.255 2.602  0.073
H -3.123 -3.815 0.854  0.137
H -3.339 -6.142 0.924  0.126
H -4.870 -5.470 1.517  0.116
H -5.562 -5.912 3.537  0.086
H -4.241 -5.430 4.620  0.072
H -4.689 -7.139 4.481  0.083
H -1.206 -4.875 1.577  0.044
H -1.655 -4.865 3.126  0.073
C 4.757 -1.961 1.838  -0.075
C 5.687 -2.231 0.664  -0.448
C 7.123 -1.741 0.866  -0.205
O 7.300 -0.339 0.760  -0.191
C 7.004 0.400 1.924  -0.117
N 5.062 -1.706 -0.549  0.056
H 4.440 -0.917 1.864  0.067
H 3.863 -2.574 1.722  0.036
H 5.221 -2.210 2.794  0.080
H 5.752 -3.318 0.544  0.098
H 7.750 -2.171 0.081  0.120
H 7.509 -2.090 1.834  0.118
H 7.284 -0.157 2.826  0.087
H 5.946 0.662 1.996  0.074
H 7.589 1.319 1.883  0.083
H 5.571 -2.010 -1.373  0.076
H 5.126 -0.692 -0.541  0.074

=====

No. 2
Molecular formula: C9H10ClN
Method: DFT, ωB97M-V/def2-TZVPD

Summary:
SMILES: C/N=C1/C=CC=CC1.C#CCl
HOMO energy (eV): -7.88
Relative energy (zero: lowest compared OMol25 entry of this formula, charge and spin) (kJ/mol): 429.63

Last column: Löwdin charge in e.
Positions of all 21 atoms, in Å:
C -1.152 1.899 1.334  -0.124
N -1.004 1.614 -0.059  0.033
C -0.191 0.720 -0.549  -0.327
C -0.017 0.717 -1.978  -0.031
C 0.904 -0.140 -2.598  -0.075
C 1.682 -1.056 -1.823  -0.100
C 1.552 -1.112 -0.444  -0.073
C 0.736 -0.119 0.320  -0.137
H -2.119 1.878 1.654  0.051
H -0.573 1.335 1.977  0.047
H -0.795 2.842 1.410  0.055
H -0.601 1.463 -2.576  0.123
H 1.047 0.035 -3.601  0.068
H 2.507 -1.681 -2.204  0.103
H 1.868 -1.901 0.262  0.109
H 1.435 0.669 0.734  0.155
H 0.273 -0.502 1.177  0.081
C -2.933 -1.226 1.086  0.016
C -2.789 -1.477 -0.063  -0.671
Cl -2.597 -1.987 -1.665  0.663
H -3.326 -0.831 1.993  0.034

=====

No. 3
Molecular formula: C48H70As2CsN3P3Si
Method: DFT, ωB97M-V/def2-TZVPD

Summary:
Total charge: -1
HOMO energy (eV): -2.98

-- Solution --
HOMO energy (eV): -4.53

Last column: Löwdin charge in e.
Positions of all 93 atoms, in Å:
N 0.311 -0.432 -0.712  -0.093
C -0.571 -1.377 -1.466  -0.352
Ga 0.159 -3.246 -1.818  0.412
C 1.224 -3.180 -3.547  -0.323
C 2.749 -3.066 -3.438  -0.353
C 3.507 -4.366 -3.094  -0.582
S 2.707 -5.956 -3.442  0.670
C 1.355 -3.576 -0.121  -0.260
C 1.391 -4.954 0.355  -0.859
O 0.530 -5.721 0.581  -0.036
I 3.468 -5.701 0.819  0.636
H 0.511 -0.817 0.207  0.039
H 1.207 -0.356 -1.187  0.050
H -0.789 -0.898 -2.434  0.033
H -1.524 -1.411 -0.922  0.030
H -1.045 -4.317 -1.882  -0.051
H 0.852 -2.258 -4.023  0.037
H 0.957 -4.002 -4.222  0.015
H 3.196 -2.647 -4.355  0.089
H 2.995 -2.355 -2.637  0.073
H 3.833 -4.358 -2.051  0.007
H 4.420 -4.453 -3.704  0.052
H 1.671 -5.795 -2.607  -0.160
H 2.350 -3.135 -0.201  0.017
H 0.780 -3.036 0.650  0.068
C -1.823 3.478 2.143  -0.076
C -0.766 2.715 1.346  -0.441
C 0.522 3.515 1.101  -0.205
O 0.419 4.510 0.100  -0.188
C -0.165 5.726 0.505  -0.125
N -1.368 2.199 0.123  0.046
H -2.333 4.207 1.512  0.050
H -2.576 2.781 2.511  0.071
H -1.389 4.003 2.997  0.072
H -0.462 1.848 1.943  0.133
H 1.288 2.824 0.743  0.120
H 0.879 3.966 2.039  0.114
H 0.150 6.013 1.515  0.087
H -1.254 5.673 0.462  0.048
H 0.169 6.492 -0.196  0.081